• Data:
+++
[1]
SnHg2S2Br2 | GGA-PBE | relaxed

Cell lengths 10.6425, 11.1545, 13.1224 Å; angles 64.53, 90.00, 90.00 degrees
With the nearest neighbours (Å) after each atom.
Atoms (fractional coordinates):
Sn  0.6847  0.2277  0.5320  2 S 2.39-2.43, 2 Br 2.52-2.54
Sn  0.8153  0.2277  0.0320  2 S 2.39-2.43, 2 Br 2.52-2.54
Sn  0.3153  0.7723  0.4680  2 S 2.39-2.43, 2 Br 2.52-2.54
Sn  0.1847  0.7723  0.9680  2 S 2.39-2.43, 2 Br 2.52-2.54
Hg  0.6061  0.2314  0.8267  2 S 2.37-2.40
Hg  0.8939  0.2314  0.3267  2 S 2.37-2.40
Hg  0.3939  0.7686  0.1733  2 S 2.37-2.40
Hg  0.1061  0.7686  0.6733  2 S 2.37-2.40
Hg  0.8267  0.4904  0.6286  2 S 3.53-3.59, 1 Br 3.69, 1 Hg 3.76
Hg  0.6733  0.4904  0.1286  2 S 3.53-3.59, 1 Br 3.69, 1 Hg 3.76
Hg  0.1733  0.5096  0.3714  2 S 3.53-3.59, 1 Br 3.69, 1 Hg 3.76
Hg  0.3267  0.5096  0.8714  2 S 3.53-3.59, 1 Br 3.69, 1 Hg 3.76
S  0.5914  0.1126  0.7147  1 Hg 2.37, 1 Sn 2.39
S  0.9086  0.1126  0.2147  1 Hg 2.37, 1 Sn 2.39
S  0.4086  0.8874  0.2853  1 Hg 2.37, 1 Sn 2.39
S  0.0914  0.8874  0.7853  1 Hg 2.37, 1 Sn 2.39
S  0.6051  0.3117  0.9694  1 Hg 2.40, 1 Sn 2.43
S  0.8949  0.3117  0.4694  1 Hg 2.40, 1 Sn 2.43
S  0.3949  0.6883  0.0306  1 Hg 2.40, 1 Sn 2.43
S  0.1051  0.6883  0.5306  1 Hg 2.40, 1 Sn 2.43
Br  0.5320  0.4027  0.4086  1 Sn 2.52
Br  0.9680  0.4027  0.9086  1 Sn 2.52
Br  0.4680  0.5973  0.5914  1 Sn 2.52
Br  0.0320  0.5973  0.0914  1 Sn 2.52
Br  0.6708  0.0371  0.4758  1 Sn 2.54
Br  0.8292  0.0371  0.9758  1 Sn 2.54
Br  0.3292  0.9629  0.5242  1 Sn 2.54
Br  0.1708  0.9629  0.0242  1 Sn 2.54

## Properties
space-group type: No. 14
offset from the most stable computed form: 127 meV per atom
crystal system: monoclinic

[2]
Li2MgAu | GGA-PBE | relaxed

Cell lengths 4.5798, 4.5798, 4.5798 Å; angles 60.00, 60.00, 60.00 degrees
With the nearest neighbours (Å) after each atom.
Atoms (fractional coordinates):
Li  0.5000  0.5000  0.5000  4 Li 2.80, 4 Mg 2.80
Li  0.7500  0.7500  0.7500  4 Li 2.80, 4 Au 2.80
Mg  0.2500  0.2500  0.2500  4 Li 2.80, 4 Au 2.80
Au  0.0000  0.0000  0.0000  4 Li 2.80, 4 Mg 2.80

## Properties
uncorrected energy: -2.61 eV/atom
space-group type: No. 216
crystal system: cubic

[3]
PbS3O10 | GGA-PBE | relaxed

Cell lengths 11.2408, 8.7800, 8.2507 Å; angles 90.00, 90.00, 90.00 degrees
With the nearest neighbours (Å) after each atom.
Atoms (fractional coordinates):
Pb  0.0000  0.7837  0.7500  6 O 2.54-2.79
Pb  0.5000  0.7163  0.2500  6 O 2.54-2.79
Pb  0.0000  0.2163  0.2500  6 O 2.54-2.79
Pb  0.5000  0.2837  0.7500  6 O 2.54-2.79
S  0.0000  0.7841  0.2500  4 O 1.44-1.57
S  0.5000  0.7159  0.7500  4 O 1.44-1.57
S  0.0000  0.2159  0.7500  4 O 1.44-1.57
S  0.5000  0.2841  0.2500  4 O 1.44-1.57
S  0.1743  0.5704  0.4026  3 O 1.44-1.45
S  0.3257  0.9296  0.9026  3 O 1.44-1.45
S  0.6743  0.9296  0.5974  3 O 1.44-1.45
S  0.8257  0.5704  0.0974  3 O 1.44-1.45
S  0.8257  0.4296  0.5974  3 O 1.44-1.45
S  0.6743  0.0704  0.0974  3 O 1.44-1.45
S  0.3257  0.0704  0.4026  3 O 1.44-1.45
S  0.1743  0.4296  0.9026  3 O 1.44-1.45
O  0.9925  0.8673  0.3996  1 S 1.44
O  0.5075  0.6327  0.8996  1 S 1.44
O  0.4925  0.6327  0.6004  1 S 1.44
O  0.0075  0.8673  0.1004  1 S 1.44
O  0.0075  0.1327  0.6004  1 S 1.44
O  0.4925  0.3673  0.1004  1 S 1.44
O  0.5075  0.3673  0.3996  1 S 1.44
O  0.9925  0.1327  0.8996  1 S 1.44
O  0.1114  0.6756  0.2458  2 S 1.57-1.74
O  0.3886  0.8244  0.7458  2 S 1.57-1.74
O  0.6114  0.8244  0.7542  2 S 1.57-1.74
O  0.8886  0.6756  0.2542  2 S 1.57-1.74
O  0.8886  0.3244  0.7542  2 S 1.57-1.74
O  0.6114  0.1756  0.2542  2 S 1.57-1.74
O  0.3886  0.1756  0.2458  2 S 1.57-1.74
O  0.1114  0.3244  0.7458  2 S 1.57-1.74
O  0.1056  0.4302  0.3999  1 S 1.45
O  0.3944  0.0698  0.8999  1 S 1.45
O  0.6056  0.0698  0.6001  1 S 1.45
O  0.8944  0.4302  0.1001  1 S 1.45
O  0.8944  0.5698  0.6001  1 S 1.45
O  0.6056  0.9302  0.1001  1 S 1.45
O  0.3944  0.9302  0.3999  1 S 1.45
O  0.1056  0.5698  0.8999  1 S 1.45
O  0.1603  0.6624  0.5474  1 S 1.45
O  0.3397  0.8376  0.0474  1 S 1.45
+++
• Work order:
Duplicate only the lines earlier on with the word "uncorrected" in them.
• Response:
uncorrected energy: -2.61 eV/atom